I. Market Price
I know what you are going to say: economic theory is disgusting, repulsive garbage. If any theory is going to be influenced by those who benefit it is going to be a theory about money, one that influences how things are exchanged and decides how much ends up in the possession of the theorists themselves.
And I hope you see right there I played a trick on you: exchange is just one way things pass from one person to another: of the three I know of - taking, giving, exchange - exchange is the least common.
Don't believe it? I'll tell you a story.
I used to be a dealer in rare watches. Behind each and every watch that came into my hands was crime. Either it literally was stolen from a house or a store, in which case often there'd be sharp scratches where various objects rubbed against each other when thrown together in the getaway bag. Or stolen in the sense that you took your grandfather's watch to a collectors watch store in Zurich to sell, and was informed that it was nice, but not uncommon, and had no value other than the meltdown value of the gold in its case. Melt value of the gold was not market value, you'd further be informed, because processing had to be paid for. You'd get 2/3 market. Do you want to sell?
And still, this isn't what I mean. The crime was each of us dealers, self-employed wanderers from market to market, sometimes, like me, from city to city and country to country, had specialized knowledge about different watches. There were literally thousands of different watches that were offered for sale, each with its own price. Some watches some knew about, no one knew about all. And we all, bargaining with each other, neglected sharing knowledge with each other. But only sometimes. Sometimes we'd make a gift of what we knew, forwent taking advantage of our colleague's ignorance. We sold at market price, in other words.
And what was market price?
All prices were set in effect by the store owners. They decided how much profit they wanted, made a guess based on experience with similar kinds of watch what retail price might be, and offered us dealers accordingly. But only when the market was large enough to justify actually paying for a watch when, as I said, they could be bought for nothing from non-professionals.
Every store owner made the calculations in the same way, because they had the same character, a mixture of greed and relish for cheating. They came up with the same price for each watch, without ever communicating with each other in any way. And there was something else involved.
These store owners constructed watches out of left over, or fake parts, and sold them to dealers or the unsuspecting. They circulated in the market. Buying a watch becomes risky for the amateur, with the result that stores, where the buyer has more recourse for recovery after being cheated, have more customers and so power to set prices.
There never was any free market. Only a "market price" set by monopoly of store owners and their dishonest practices; or taking advantage of someone's ignorance; or making a gift of your superior knowledge. Only monopoly, giving, or taking.
Watch dealers are a colorful bunch. We had what we needed and had a way of living, depending on no one but ourselves, we could be fairly sure of going on having what we needed. We made gifts when it looked like we were going to be friends, we held back when prospects weren't good. We didn't really care.
But I'm talking mostly about myself here. I was constantly on the alert for the others reconsidering, deciding they didn't have what they needed and lowering themselves to the profit demanding practice of the store owners.
II. Anarchist Dialog
As soon as the communes of the tenth, eleventh, and twelfth centuries had succeeded in emancipating themselves from their lords, ecclesiastical or lay, their communal labor and communal consumption began to extend and develop rapidly. The township—and not private persons—freighted ships and equipped expeditions, for the export of their manufacture, and the benefit arising from the foreign trade did not accrue to individuals, but was shared by all. At the outset, the townships also bought provisions for all their citizens. Traces of these institutions have lingered on into the nineteenth century, and the people piously cherish the memory of them in their legends.*
- What do you think is the biggest obstacle?
- Expropriation.
- You think we won't ever be able to convince the majority it's in their best interest? Why, when in exchange for agreeing to work a few hours a day at the job of their choice they'll come out way ahead when the massive riches the few have are shared with everyone equally?
- They'll be afraid of losing themselves.
- Seeing others lose their property they'll be afraid their own will be taken away?
- Yes, and their selves with it. People think of themselves as individuals, as being more individual the more specialized their lives become, the more they take on new roles. The machines people use, the buildings they work in, the people they work with become reflections of their particular place in the world. When the idea of expropriation is raised, suddenly people understand their individuality, reflected and summed up in all these separate people places and things, is not independence, but the opposite, complete dependence. Dependence on all these things being there to be lived among.
- If that is true, the more specialized, technological our societies become, the more resistant to change they will be. What's the solution?
- First, let's come to an understanding about expropriation.
- Alright.
- Would you agree that human beings are fundamentally social?
- More than individual?
- Yes. In the sense that the best and first thing for an individual to do is make friends and cooperate. That there is no other way to come to know ourselves and correct inborn tendencies to error.
- Ok.
- Do we make friends with everyone we meet, or only a few?
- A few.
- Why, if being social is best for an individual?
- Because we can't be with everyone in the world at the same time.
- Not have a dialog with, make something with them all.
- Yes.
- But everyone you begin with and decide against loses the time and special attention that's been lavished on you. In a way you've expropriated his time and effort, took away that piece of life that led nowhere.
- But it was offered freely.
- As a gift. But it is reasonably to give gifts only to people who stay in the same community. Without any direct exchange, everyone is likely to receive a gift just by being there.
- And rejected by you they will not be in your community.
- Making gifts, and expropriation, giving and taking, are our community making tools, as necessary for making a friendship as establishing a state.
- So?
- Specialized people think they are independent because they have an individual, unique set of things they play their roles in the midst of. Really they are dependent on each and every thing remaining as it is for them to continue to feel free. Agree?
- Yes.
- But someone who forms friendships in the midst of the risk and the violence of expropriation and gift giving cannot pass through without exercising real free choice.
- The formation of an anarchist state is an act of individuality.
- Yes. But more than that. Assume an expropriation has been performed. Assume sufficient basics of life, food and shelter, such that everyone in the community could take as much as they wanted, with the exception of hoarders who would be removed.
Unrelated to this entry: molecular data =
=====
# 1
8
Properties=species:S:1:pos:R:3:forces:R:3:mulliken_charge:R:1 method="wB97M-V/def2-TZVPD" e_homo_ev="-9.2 / -9.4" e_above_lowest_kcal_mol=35.9 spin_multiplicity=1
C 1.300639 0.788560 1.316758 -0.536 -0.537 0.938 -0.473
C 1.219354 0.976339 -0.060586 0.402 0.655 -1.312 0.750
C -1.374214 -1.108985 -0.204236 0.745 1.058 -0.457 0.500
N 0.297285 0.565814 -0.873989 1.086 0.575 -0.755 -0.564
N -0.674986 -0.219301 -0.581560 -0.741 -0.569 0.992 0.266
O -2.161787 -1.923370 0.026364 -0.603 -0.877 0.398 -0.391
Br 2.839545 1.140868 2.210290 -0.006 -0.010 -0.156 0.043
Br 2.488922 2.124420 -1.036720 -0.347 -0.295 0.353 -0.131

---

# 2
9
Properties=species:S:1:pos:R:3:forces:R:3:mulliken_charge:R:1 method="wB97M-V/def2-TZVPD" e_homo_ev="-8.9 / -9.4" e_above_lowest_kcal_mol=0.0 spin_multiplicity=1
C 0.486180 0.856864 0.064445 -1.450 -0.514 0.032 -0.136
C 1.537692 0.099269 0.145767 0.826 -0.408 -0.423 0.570
C -1.887276 -0.537033 -0.087709 0.636 -0.117 0.420 0.102
Cl -0.043382 2.422960 -0.053018 0.827 -0.298 0.020 -0.085
Cl 3.177099 0.708063 0.005705 -0.354 0.071 0.161 -0.179
Cl 1.501853 -1.657379 0.211192 -0.186 0.824 0.036 -0.130
Cl -1.829707 -1.675681 1.226645 -0.115 0.563 -0.277 -0.064
Cl -1.892786 -1.350142 -1.623453 -0.186 0.829 0.480 -0.060
Br -2.930429 1.023966 0.244464 0.003 -0.950 -0.449 -0.019

---

# 3
9
Properties=species:S:1:pos:R:3:forces:R:3:mulliken_charge:R:1 method="wB97M-V/def2-TZVPD" e_homo_ev=-11.0 e_above_lowest_kcal_mol=10.0 spin_multiplicity=1
C -2.264638 1.848632 0.375804 -2.318 0.349 -1.819 0.157
C 1.193342 0.008473 0.191715 -0.019 0.753 0.586 0.334
C 0.291674 -1.079555 -0.212560 0.567 0.818 0.388 0.620
O -2.925908 1.742045 -0.554191 1.379 0.282 1.784 -0.190
O 0.991957 -0.288993 -1.132609 -1.161 1.212 -1.047 -0.339
Cl 0.393887 1.421655 0.885069 1.065 -0.134 -0.211 -0.137
Cl 2.845486 -0.133669 0.664604 0.165 -0.242 0.416 -0.139
Cl -1.414467 -0.888535 0.028217 0.102 -0.601 -0.377 -0.146
Cl 0.888669 -2.630053 -0.246047 0.219 -2.437 0.280 -0.160

---

# 4
8
Properties=species:S:1:pos:R:3:forces:R:3:mulliken_charge:R:1 method="wB97M-V/def2-TZVPD" e_homo_ev=-10.8 total_charge=+1 e_above_lowest_kcal_mol=38.7 spin_multiplicity=1
C -0.348704 -1.715429 1.778731 -1.109 0.375 0.531 0.303
F -1.291845 -2.073832 2.751163 0.776 -0.208 -0.256 -0.264
Cs -0.527834 1.275554 -2.200827 -0.105 -0.247 0.487 1.011
F -1.925118 -0.117892 1.161212 1.058 -0.707 -0.394 -0.273
O 2.563322 -0.838286 0.600558 0.059 -0.558 0.470 -0.165
C -0.669419 -0.739210 0.906498 0.579 0.323 0.019 -0.465
C 1.941879 -0.062577 0.035552 -0.355 0.351 -0.341 0.214
Mg 1.601334 -2.386608 2.009561 -0.903 0.670 -0.516 0.638

---

# 5
17
Properties=species:S:1:pos:R:3:forces:R:3:mulliken_charge:R:1 method="wB97M-V/def2-TZVPD" e_homo_ev="-8.8 / -9.2" e_above_lowest_kcal_mol=0.0 spin_multiplicity=5 s_squared=6.004
Rh 2.549658 1.355148 -0.443554 -0.752 -0.726 -0.128 0.492
O 0.364089 0.013371 -3.847418 1.343 -1.221 1.138 -0.318
C 1.420607 0.288881 -3.427582 -1.792 2.636 -2.043 0.839
=====
Here the entry continues =
- By what authority?
- Consensus.
- But would there be a consensus?
- If people understood the principle behind the law.
- What principle?
- You know how in the Orestes trilogy a cycle of vengeance ends with the appearance of the Athena, Goddess of Athens, in effect founding the city by giving it the safety of laws. The fixed relation of people to each other is left behind in contemplation of the beauty of the city newly established.
- You're saying that people could all agree in this shift in the way of looking at things. And the practical result would be in, as in the play, putting aside private interests?
- Yes. Stop doing things as isolated individuals, stop doing altogether. Do nothing for the moment and share a view of something beautiful.
- But we'll never get the specialists in our technological society to see the beauty of a state. We live economic lives, our so-called rest from constant doing and making is only distraction, entertainment, recreation, in fact, just more activity.
- And if we could show how being in our state allowed real, not illusory freedom and individuality?
- Maybe, but I don't see it very clearly myself.
- Once the state is founded it would have to establish relations with other states. Wouldn't it do this on the same basis as it itself was founded?
-- Someone pasted records of molecules at this point --
____________
The following is a DFT calculation (ωB97M-V/def2-TZVPD) of a structure of composition C13H20CoN2O2S.

Last column: Mulliken charge in e.
Atoms and positions in Å:
Co 0.063 0.480 -0.082  0.120
C 2.459 -0.795 -1.069  -1.088
N 2.087 0.154 -0.008  0.900
C 2.859 1.402 -0.183  -1.546
C 2.370 -0.435 1.325  -0.980
C 1.390 0.098 2.344  -0.749
N 0.013 -0.155 1.899  0.805
C -0.934 0.684 2.654  -1.318
C -0.381 -1.565 2.016  -0.972
H 3.523 -1.044 -1.013  0.372
H 2.249 -0.351 -2.041  0.301
H 1.874 -1.709 -0.965  0.337
H 3.932 1.187 -0.132  0.366
H 2.588 2.112 0.592  0.430
H 2.618 1.844 -1.147  0.414
H 3.400 -0.219 1.625  0.377
H 2.285 -1.519 1.243  0.420
H 1.503 1.180 2.438  0.406
H 1.573 -0.348 3.330  0.391
H -0.889 0.451 3.724  0.329
H -1.944 0.503 2.295  0.311
H -0.680 1.731 2.488  0.412
H -0.322 -1.913 3.055  0.345
H 0.253 -2.199 1.397  0.318
H -1.407 -1.662 1.661  0.230
O -3.644 0.212 0.469  -0.651
C -2.703 0.840 0.022  0.474
O -1.671 0.248 -0.540  -0.635
C -2.728 2.344 -0.020  0.317
C -3.991 2.922 0.135  -0.628
C -4.177 4.288 0.073  -0.557
C -3.071 5.106 -0.133  -0.504
C -1.813 4.551 -0.267  -0.859
C -1.609 3.165 -0.214  0.910
S 0.092 2.664 -0.342  -0.395
H -4.825 2.252 0.297  0.453
H -5.167 4.711 0.179  0.385
H -3.189 6.182 -0.185  0.357
H -0.953 5.194 -0.413  0.402

Properties
Total charge: 0
LUMO level (spin up / spin down), eV: 0.26 / 0.36
Strongest force on any atom, eV/A: 0.8
Multiplicity: 2

=====

(1)
Below is a cluster of 10 separate species, H20O10 in total in a non-equilibrium geometry, with properties calculated with wB97M-V/def2-TZVPD.

Structure (XYZ):
```
30
H20O10 | OMol25 | wB97M-V/def2-TZVPD
O 9.009 -10.694 18.128
H 9.309 -10.030 18.748
H 8.371 -11.211 18.620
O 13.165 -7.117 16.738
H 12.432 -6.535 16.940
H 12.966 -7.459 15.867
O 10.953 -6.471 23.617
H 11.466 -6.366 22.815
H 10.066 -6.209 23.371
O 13.109 -6.666 21.420
H 13.584 -6.422 22.214
H 13.717 -7.228 20.940
O 7.624 -7.886 18.317
H 8.424 -8.244 18.702
H 7.772 -7.929 17.372
O 13.319 -4.811 19.585
H 14.245 -4.821 19.344
H 13.223 -5.537 20.201
O 10.653 -6.457 19.184
H 10.585 -6.097 20.068
H 10.600 -7.405 19.305
O 9.903 -3.513 20.780
H 8.955 -3.393 20.830
H 10.139 -3.198 19.907
O 10.611 -5.461 16.621
H 10.670 -4.530 16.835
H 10.486 -5.893 17.466
O 9.837 -9.123 20.184
H 10.711 -9.198 20.568
H 9.286 -9.681 20.733
```

The expectation value of S² is 0.75. The value obtained for the energy above the lowest of the compared OMol25 structures with the same formula, charge and spin is 83.3 kJ/mol. As for the spin multiplicity: 2. The calculation puts the HOMO-LUMO gap (alpha / beta) at 2.86 / 10.59 eV. As for the charge: -1.

(2)
Below is a cluster of 10 separate species, H20O10 in total in a non-equilibrium geometry, with properties calculated with wB97M-V/def2-TZVPD.

Structure (XYZ):
```
30
H20O10 | OMol25 | wB97M-V/def2-TZVPD
O 2.984 -0.429 0.367
H 3.440 -0.214 1.175
H 2.096 -0.196 0.328
O -0.848 -3.328 -0.007
H -0.755 -2.578 0.618
H 0.026 -3.718 -0.094
O 0.338 -1.606 2.046
____________
- I don't know.
- Wouldn't the state make gifts or expropriate, as it found to be in its interest?
- It might.
- And within the state, wouldn't every individual also, making friends, forming businesses relations, creative collaborations, expropriate and make gifts?**
- I guess.
- So as the state itself is an expression of freedom, so are the relations both within it and between states outside?
- Yes.
- Now, let's imagine asking our specialized, technological citizen to join our anarchist community. Obedience to a command of "mutual aid" has no part in the plan here. He's given the freedom of Odysseus to steal or be generous in the adventure of his life.
- I think the kind of stealing and generosity you're talking about, openly conditional arrangements, would depress our banker and stock speculating population accustomed to intricate commercial deceptions and magnificent gifts to charities.
- Why? Was there ever a more romantic character than Robin Hood, robbing-from-the-rich, giving-to-the-poor, the founder of a community like Athena? And do you realize that depression itself is no more than the result of someone specialized in life having necessary conditions removed and facing the fact they had no real freedom, that they could go on with their "individual" lives only so long as the other "individuals" didn't change, and now, having freedom, have no tools, no experience in dealing with freedom?
- And we anarchists, living constantly with expropriation and giving, do have the tools?
- Yes. We make friends and make societies. We have tools to remake our lives.***
_Data records from another source follow_
+++
{
  "formula": "CH2BrNO4",
  "method": "wB97M-V/def2-TZVPD",
  "species": ["Br", "H", "O", "C", "H", "N", "O", "O", "O"],
  "coordinates": [[-4.10166, 2.03048, 0.41341], [3.09549, -0.93454, 2.67024], [-0.03509, 0.60698, -2.79147], [-0.53133, 1.55495, -2.34079], [-4.82578, 1.11086, -0.48216], [2.47840, -1.95672, 1.14118], [-1.05803, 2.45475, -1.88604], [2.80882, -1.79982, 2.43877], [2.16917, -3.06694, 0.83684]],
  "atomic_forces_ev_per_a": [[-0.6242, -0.8035, -0.7816], [0.2278, 1.6039, -0.6567], [0.1372, 0.1424, -0.0410], [0.7662, -2.0938, -0.8236], [0.6215, 0.7959, 0.7816], [-0.4304, -0.0906, -2.1760], [-0.8987, 1.9576, 0.8641], [-0.4386, -3.1316, 1.3529], [0.6394, 1.6198, 1.4803]],
  "orbital_gap_ev": 10.81,
  "smiles": "O=C=O.O=NO.Br",
  "homo_energy_ev": -10.4815,
  "lumo_ev": 0.3263,
  "max_force_ev_per_a": 3.4,
  "total_charge": 0
}

~~~~~

[1]
85
Properties=species:S:1:pos:R:3:forces:R:3:mulliken_charge:R:1 method="wB97M-V/def2-TZVPD" e_tot_ha=-1988.597128 charge=-1 orbital_gap_ev=7.286
O -4.723 -1.858 -0.893 0.2 -0.4 0.0 -0.396
H 2.889 1.572 -0.923 -0.5 -0.1 0.0 0.296
N 4.248 7.155 -0.510 0.0 0.2 0.2 -0.393
O -2.859 3.660 -4.088 0.1 -0.1 0.1 -0.734
H 4.308 5.597 -3.315 0.0 0.0 0.0 0.216
H -7.134 -2.355 3.977 0.0 0.0 0.0 0.184
C 1.396 2.843 -0.021 0.1 0.5 -0.7 -1.036
F -0.673 -1.659 0.796 -0.9 0.2 -1.0 -0.391
C 4.402 -1.227 1.625 0.0 -0.2 -0.4 -0.816
O 5.772 -2.722 -3.608 0.0 -0.1 -0.2 -0.619
H -2.756 -1.407 -1.453 0.0 -0.1 0.5 0.153
H 2.090 0.664 1.434 0.1 -0.1 -0.9 0.091
N 5.147 -2.491 -5.774 0.1 0.1 -0.3 -0.430
O -6.136 -4.585 3.551 0.1 0.2 0.0 -0.699
C 1.142 0.301 -0.660 1.0 -0.7 -0.4 2.168
N -2.807 3.031 -1.905 -0.2 0.1 0.3 -0.314
H 3.583 -1.650 2.239 0.4 0.3 -0.3 0.264
C -5.527 -3.523 3.590 -0.1 -0.1 0.0 0.662
C 1.706 -0.759 -1.668 0.5 -0.2 0.9 -1.866
H -0.767 1.747 -2.613 -0.2 -0.1 0.1 0.377
H -4.346 -0.176 0.895 0.2 0.0 -0.6 0.210
C 3.205 -1.165 -1.481 -0.3 -0.7 -0.3 -0.050
H 4.282 -4.702 -3.617 0.0 0.1 0.0 0.229
N -6.144 -2.333 3.830 -0.1 0.2 0.2 -0.306
H 1.722 -1.001 1.118 -0.8 0.1 -0.2 -0.013
H 4.623 -2.797 -6.570 -0.1 0.0 0.0 0.148
H 1.073 -1.660 -1.532 0.4 0.4 -0.1 0.407
N 4.520 6.301 -2.633 0.1 0.0 -0.3 -0.392
C 3.932 6.176 -1.408 -0.3 -0.4 0.1 0.567
N -4.181 -3.441 3.399 0.2 -0.1 0.1 -0.302
H -0.822 2.242 -4.275 0.0 0.0 0.0 0.166
C -3.535 -0.053 0.143 -0.2 -0.4 0.5 -0.423
H -4.659 0.193 7.920 0.0 0.0 0.0 0.154
H 3.564 -1.498 -2.478 0.1 0.3 0.5 -0.202
H -3.691 -4.296 3.218 0.0 0.0 -0.1 0.190
C -2.328 3.031 -3.177 0.1 -0.1 -0.2 0.427
H -5.965 1.186 7.381 0.0 0.0 0.0 0.223
H 1.584 2.035 -2.016 -0.1 -0.4 0.4 0.245
H 5.725 -1.676 -5.856 0.0 0.0 0.0 0.212
C 1.370 0.022 0.889 -0.2 0.9 0.2 -0.802
H 0.304 3.001 0.003 0.4 -0.2 0.1 0.077
H 4.975 -3.156 0.817 0.2 0.5 -0.3 0.382
C 1.785 1.680 -0.982 -0.4 0.6 0.5 -0.698
N -3.540 -0.012 5.659 0.1 -0.2 -0.2 -0.313
H 2.536 -2.626 0.053 0.5 0.1 -0.1 0.475
H 1.535 -0.408 -2.708 0.0 0.0 0.6 0.298
H 3.872 -0.343 -1.167 -0.5 -0.1 -0.2 0.360
H -3.631 3.570 -1.722 0.0 0.0 0.0 0.165
+++
'In India, I stuck a computer in a hole in the boundary wall of the slum next to my office. The children came running in, what is it? I said, I don't know. / Can we touch it? / If you wish. About 8 hours later, the children were browsing. How do you know all this, I asked? / You've given us a machine that works only in English so we had to teach ourselves English, they complained.' - Sugata Mitra